But hate-mongering holy rollers weren’t thrilled that the loud and proud LGBTQ+ activist will be making his debut on the show.
But hate-mongering holy rollers weren’t thrilled that the loud and proud LGBTQ+ activist will be making his debut on the show.
# Unrelated to this article: data records
CoCl2O2 | GGA+U | optimized geometry

Values from the calculation:
* symmetry: C2/m
* total DFT energy (no corrections): -3.5747 eV per atom
* DFT formation energy: -0.037 eV per atom

abc: 5.3145 5.3145 3.4831
angles: 85.34 85.34 95.28
With the nearest neighbours (Å) after each atom.
Atoms (fractional coordinates):
1 Cl 0.7655 0.7655 0.5721  2 Co 2.38-2.45
2 Cl 0.2345 0.2345 0.4279  2 Co 2.38-2.45
3 Co 0.0000 0.0000 0.0000  2 O 1.63
4 O 0.7918 0.2082 0.0000  1 Co 1.63
5 O 0.2082 0.7918 0.0000  1 Co 1.63

Co2PClO4 | GGA+U | optimized geometry

Values from the calculation:
* symmetry: C2/c
* total DFT energy (no corrections): -6.2946 eV per atom
* DFT formation energy: -1.889 eV per atom

abc: 8.2275 8.2275 9.3175
angles: 55.60 55.60 67.93
With the nearest neighbours (Å) after each atom.
Atoms (fractional coordinates):
1 Co 0.2740 0.7260 0.7500  4 O 2.08-2.21
2 Co 0.9260 0.4411 0.3257  3 O 1.95-2.07
3 Co 0.0000 0.0000 0.0000  4 O 2.03-2.16
4 Co 0.7260 0.2740 0.2500  4 O 2.08-2.21
5 Co 0.5589 0.0740 0.1743  3 O 1.95-2.07
6 Co 0.4411 0.9260 0.8257  3 O 1.95-2.07
7 Co 0.0740 0.5589 0.6743  3 O 1.95-2.07
8 Co 0.0000 0.0000 0.5000  4 O 2.03-2.16
9 O 0.5511 0.7856 0.6572  1 P 1.57
10 O 0.4489 0.2144 0.3428  1 P 1.57
11 O 0.4058 0.2163 0.0298  1 P 1.50
12 O 0.9205 0.7766 0.5242  1 P 1.56
13 O 0.7766 0.9205 0.0242  1 P 1.56
14 O 0.7789 0.9716 0.2876  1 P 1.59
15 O 0.7856 0.5511 0.1572  1 P 1.57
16 O 0.2144 0.4489 0.8428  1 P 1.57
17 O 0.0795 0.2234 0.4758  1 P 1.56
18 O 0.2234 0.0795 0.9758  1 P 1.56
19 O 0.7837 0.5942 0.4702  1 P 1.50
20 O 0.2211 0.0284 0.7124  1 P 1.59
21 O 0.5942 0.7837 0.9702  1 P 1.50
22 O 0.0284 0.2211 0.2124  1 P 1.59
23 O 0.9716 0.7789 0.7876  1 P 1.59
24 O 0.2163 0.4058 0.5298  1 P 1.50
25 Cl 0.3389 0.8097 0.4259  4 Co 2.43-2.58
26 Cl 0.6611 0.1903 0.5741  4 Co 2.43-2.58
27 Cl 0.1903 0.6611 0.0741  4 Co 2.43-2.58
28 Cl 0.8097 0.3389 0.9259  4 Co 2.43-2.58
29 P 0.7753 0.7593 0.9854  4 O 1.50-1.59
30 P 0.2247 0.2407 0.0146  4 O 1.50-1.59
31 P 0.2407 0.2247 0.5146  4 O 1.50-1.59
32 P 0.7593 0.7753 0.4854  4 O 1.50-1.59

~~~~~

Entry 1:
# r2SCAN C, relaxed
# space-group type: R-3m
data_C
_cell_length_a 14.521
_cell_length_b 14.521
_cell_length_c 14.521
_cell_angle_alpha 9.93
_cell_angle_beta 9.93
_cell_angle_gamma 9.93
_space_group_name_H-M_alt 'P 1'
_space_group_IT_number 1
loop_
_space_group_symop_operation_xyz
'x,y,z'
loop_
_atom_site_label
_atom_site_fract_x
_atom_site_fract_y
_atom_site_fract_z
C1 0.410 0.410 0.410
C2 0.304 0.304 0.304
C3 0.590 0.590 0.590
C4 0.173 0.173 0.173
C5 0.827 0.827 0.827
C6 0.553 0.553 0.553
C7 0.208 0.208 0.208
C8 0.732 0.732 0.732
C9 0.268 0.268 0.268
C10 0.447 0.447 0.447
C11 0.018 0.018 0.018
C12 0.792 0.792 0.792
Hemingway. The only book of his I was able to finish was The Old Man and the Sea.
So ... she’s a cat
Shit, I’m mentally ill. I don’t scam chumps and align with Nazis and cape for fame and wealth monsters.
Kids are a yes or no deal, and there really is no half-way point here. You either have them or don’t, and if partners are split in this issue, either the relationship is over, or someone is going to be pushed out of their dream.
Children need to be a dealbreaker for relationships. Ideally, this is a topic you talk about when things start getting serious because you don’t want to be with someone for years only to find out their opinion on the matter is the total opposite of yours. I agree with Harris that you can’t just try out kids on a…
The Olympic games have to be some of the most politically charged sporting events in the world. Countries literally compete for who will spend the most tax dollars displacing poor people for a giant eyesore stadium that will most likely not be used for shit, decades after the games.
-- Attached: data records --
+++
# 1
The following is a DFT calculation (r²SCAN) of a geometry-optimized Zr2ReRh structure.

Its symmetry is Fm-3m. Its crystal system is cubic.

a b c (Å): 4.6439 4.6439 4.6439
angles (deg): 60.00 60.00 60.00
Last column: nearest neighbours and their distance in Å.
Fractional positions:
Zr  0.7500  0.7500  0.7500  4 Re 2.84, 4 Rh 2.84
Re  0.5000  0.5000  0.5000  8 Zr 2.84
Zr  0.2500  0.2500  0.2500  4 Re 2.84, 4 Rh 2.84
Rh  0.0000  0.0000  0.0000  8 Zr 2.84

# 2
The following is a DFT calculation (r²SCAN) of a geometry-optimized Ce2TiO5 structure.

Its symmetry is P2_1/m. Its crystal system is monoclinic.

a b c (Å): 3.8740 10.8238 11.4454
angles (deg): 90.02 90.00 90.00
Last column: nearest neighbours and their distance in Å.
Fractional positions:
O  0.2500  0.7261  0.0381  1 Ti 1.91
Ti  0.2500  0.6867  0.8758  3 O 1.79-1.91
O  0.7500  0.5069  0.6037  4 Ce 2.35-2.45
O  0.2500  0.2254  0.4622  1 Ti 1.91
Ce  0.2500  0.6023  0.2186  7 O 2.35-2.55
O  0.2500  0.9930  0.1032  4 Ce 2.35-2.45
O  0.2500  0.7662  0.3792  2 Ti 2.00
O  0.2500  0.4931  0.3963  4 Ce 2.35-2.45
Ce  0.7500  0.8630  0.0595  7 O 2.43-2.48
O  0.7500  0.2739  0.9619  1 Ti 1.91
O  0.2500  0.2715  0.7706  1 Ti 1.91
O  0.2500  0.2657  0.1201  2 Ti 2.01
O  0.7500  0.7343  0.8799  2 Ti 2.01
O  0.7500  0.9733  0.3358  1 Ti 1.79
Ce  0.2500  0.1022  0.2806  7 O 2.35-2.55
O  0.2500  0.5266  0.8373  1 Ti 1.79
O  0.2500  0.0267  0.6642  1 Ti 1.79
Ti  0.2500  0.1864  0.6247  3 O 1.79-1.91
O  0.7500  0.2285  0.2700  1 Ti 1.91
Ti  0.7500  0.3133  0.1242  3 O 1.79-1.91
Ce  0.7500  0.3977  0.7814  7 O 2.35-2.55
Ce  0.2500  0.1370  0.9405  7 O 2.43-2.48
O  0.7500  0.0070  0.8968  4 Ce 2.35-2.45
Ce  0.7500  0.8978  0.7194  7 O 2.35-2.55
O  0.7500  0.7746  0.5378  1 Ti 1.91
Ce  0.7500  0.3626  0.4407  7 O 2.43-2.49
Ce  0.2500  0.6374  0.5593  7 O 2.43-2.49
O  0.7500  0.7285  0.2294  1 Ti 1.91
O  0.2500  0.7715  0.7300  1 Ti 1.91
O  0.7500  0.4734  0.1627  1 Ti 1.79
Ti  0.7500  0.8136  0.3753  3 O 1.79-1.91
O  0.7500  0.2338  0.6208  2 Ti 2.00

# 3
The following is a DFT calculation (r²SCAN) of a geometry-optimized GaH15N5Cl3 structure.

Its symmetry is Pnma. Its crystal system is orthorhombic.

a b c (Å): 6.6361 10.5863 13.3634
angles (deg): 90.00 90.00 90.00
Last column: nearest neighbours and their distance in Å.
Fractional positions:
N  0.0997  0.2500  0.2846  3 H 1.02-1.03
H  0.4918  0.7500  0.7774  1 N 1.02
N  0.5997  0.7500  0.2154  3 H 1.02-1.03
Cl  0.3287  0.0040  0.1495  5 H 2.29-2.52
N  0.5534  0.2500  0.2953  3 H 1.02-1.03
N  0.0840  0.2500  0.5023  3 H 1.02-1.03
Cl  0.9421  0.2500  0.0305  1 Ga 2.39, 1 H 2.64
H  0.3585  0.6716  0.6936  1 N 1.03
N  0.5840  0.7500  0.9977  3 H 1.02-1.03
H  0.8585  0.1716  0.8064  1 N 1.03
H  0.9014  0.6720  0.4527  1 N 1.03
H  0.2299  0.4857  0.3491  1 N 1.02
N  0.9466  0.2500  0.7953  3 H 1.02-1.03
N  0.4466  0.7500  0.7047  3 H 1.02-1.03
H  0.5082  0.2500  0.2226  1 N 1.02
Cl  0.1713  0.4960  0.6495  5 H 2.29-2.52
H  0.0100  0.1717  0.2925  1 N 1.03
+++
-- Back to the text --
I never liked the band’s music, but you had to respect the hell out of their ability as musicians, and Peart especially. RIP.
It’s really very simple. Don’t be an asshole. Don’t be an asshole to fat people, don’t be an asshole to alcoholics, or drug addicts, or the homeless, or...people in general. Not only is it bad to be an asshole, but, if you’re genuinely concerned for someone and your stated goal is to get them to change their…
This. Does the entire world think that overweight and obese people don’t know the consequences of being overweight? Lindy West has an excellent discussion of this in her book Shrill. It’s like Jillian Michaels and everyone thinks they’re giving you some enlightening feedback, when really it’s just a reminder that they…
I’m not going to argue that there aren’t health problems that come with obesity, but I am going to argue that most people who bully/concern troll people about their weight don’t actually care about the health problems. They just think that being fat is at best a humiliating flaw and at worst a moral failing.
Overweight and obese people know that there are health consequences to their condition. I imagine they really don’t want to be like that, and dealing with health anxiety. And that’s how their self-esteem issues arise, and in a culture that is obsessed with beauty and sex (hey, remember how overweight the Peleton lady…
Oh look at that, no women. What a shocker.
The thought of Strom Thurmond filibustering? filibusting? in hell just made me crack up. With his boney dead ass. Thank you.
Calculated crystals, as found in the file =
~~~
1.
The following is a DFT calculation (PBE-GGA) of a relaxed structure of Ga2Sb2H16C4S7N2.

The structure in POSCAR format:
```
Ga2Sb2H16C4S7N2
1.0
10.3585 0.0000 0.0000
0.0000 12.7462 0.0000
-0.1914 0.0000 16.4093
Ga Sb H C S N
8 8 64 16 28 8
Direct
0.1002 0.0673 0.2830
0.1002 0.4327 0.7830
0.3956 0.2009 0.2752
0.3956 0.2991 0.7752
0.6044 0.7009 0.2248
0.6044 0.7991 0.7248
0.8998 0.5673 0.2170
0.8998 0.9327 0.7170
0.1055 0.1587 0.7474
0.1055 0.3413 0.2474
0.3914 0.5775 0.7569
0.3914 0.9225 0.2569
0.6086 0.0775 0.7431
0.6086 0.4225 0.2431
0.8945 0.6587 0.7526
0.8945 0.8413 0.2526
0.0636 0.1379 0.9425
0.0636 0.3621 0.4425
0.0666 0.0879 0.0456
0.0666 0.4121 0.5456
0.0943 0.2246 0.0275
0.0943 0.2754 0.5275
0.1159 0.7378 0.0849
0.1159 0.7622 0.5849
0.1263 0.6549 0.9959
0.1263 0.8451 0.4959
0.1947 0.5678 0.1190
0.1947 0.9322 0.6190
0.2366 0.0113 0.9037
0.2366 0.4887 0.4037
0.2406 0.5401 0.5061
0.2406 0.9599 0.0061
0.2470 0.7461 0.5156
0.2470 0.7539 0.0156
0.2880 0.1346 0.0555
0.2885 0.1821 0.9603
0.2885 0.3179 0.4603
0.2880 0.3654 0.5555
0.2995 0.5191 0.9929
0.2995 0.9809 0.4929
0.3101 0.6618 0.1359
0.3101 0.8382 0.6359
0.3847 0.0115 0.9603
0.3847 0.4885 0.4603
0.4037 0.5062 0.0805
0.4037 0.9938 0.5805
0.4197 0.6180 0.0145
0.4197 0.8820 0.5145
0.5803 0.1180 0.4855
0.5803 0.3820 0.9855
0.5963 0.0062 0.4195
0.5963 0.4938 0.9195
0.6153 0.5115 0.5397
0.6153 0.9885 0.0397
0.6899 0.1618 0.3641
0.6899 0.3382 0.8641
0.7005 0.0191 0.5071
0.7005 0.4809 0.0071
0.7120 0.6346 0.4445
0.7115 0.6821 0.5397
0.7115 0.8179 0.0397
0.7120 0.8654 0.9445
0.7530 0.2461 0.9844
0.7530 0.2539 0.4844
0.7594 0.0401 0.9939
0.7594 0.4599 0.4939
0.7634 0.5113 0.5963
0.7634 0.9887 0.0963
0.8053 0.0678 0.3810
0.8053 0.4322 0.8810
0.8737 0.1549 0.5041
0.8737 0.3451 0.0041
0.8841 0.2378 0.4151
0.8841 0.2622 0.9151
0.9057 0.7246 0.4725
0.9057 0.7754 0.9725
0.9334 0.5879 0.4544
0.9334 0.9121 0.9544
0.9364 0.6379 0.5575
0.9364 0.8621 0.0575
0.1072 0.1453 0.0035
0.1072 0.3547 0.5035
0.1808 0.6975 0.0431
0.1808 0.8025 0.5431
0.2797 0.0189 0.9647
0.2797 0.4811 0.4647
0.3521 0.5617 0.0410
0.3521 0.9383 0.5410
0.6479 0.0617 0.4590
0.6479 0.4383 0.9590
0.7203 0.5189 0.5353
0.7203 0.9811 0.0353
0.8192 0.1975 0.4569
0.8192 0.3025 0.9569
0.8928 0.6453 0.4965
0.8928 0.8547 0.9965
0.0238 0.0437 0.6371
0.0238 0.4563 0.1371
0.0346 0.6889 0.2768
0.0346 0.8111 0.7768
0.1932 0.5297 0.6803
0.1932 0.9703 0.1803
0.2510 0.1415 0.3690
0.2510 0.3585 0.8690
0.2980 0.2105 0.6687
0.2980 0.2895 0.1687
0.4734 0.5739 0.2778
0.4727 0.6905 0.6466
0.4727 0.8095 0.1466
0.4734 0.9261 0.7778
0.5266 0.0739 0.2222
0.5273 0.1905 0.8534
0.5273 0.3095 0.3534
0.5266 0.4261 0.7222
0.7020 0.7105 0.8313
0.7020 0.7895 0.3313
0.7490 0.6415 0.1310
0.7490 0.8585 0.6310
0.8068 0.0297 0.8197
0.8068 0.4703 0.3197
0.9654 0.1889 0.2232
0.9654 0.3111 0.7232
0.9762 0.5437 0.8629
0.9762 0.9563 0.3629
0.2482 0.1248 0.9974
0.2482 0.3752 0.4974
0.2587 0.6210 0.0912
0.2587 0.8790 0.5912
0.7413 0.1210 0.4088
0.7413 0.3790 0.9088
~~~
Back to the piece =
Most people want to believe that they can be their partner’s sexual everything, a kind of vanity they usually can’t fool themselves into with a bisexual partner. In truth, nobody should indulge in that vanity, because it’s crazy and dangerous to imagine that your partner could never desire anything but you, regardless…